Saturday, September 08, 2007
Why Lisp?
And that is a good thing, in exactly the same way as it is good that there is more than one language in the world. There have been numerous attempts to design a universal language, which the authors hoped would replace all other languages and become the way humans communicate.
All of these attempts have failed not because the designed languages where missing important features but because humans thrive on diversity. We want to speak different languages. And Coders want to code in different languages. This simple statement explains why such passionate flame wars erupt over trivial matters such as how statements should be delimited.
So to Answer my own question why lisp? Because it is different. Not just slightly different, such as Java vs C++ but entirely different. The fact that it is different is what attracted me to Lisp in the fist place. I simply decided that I wanted to learn something which was different. Once I started I found that Lisp did have a lot of cool features.
Using a completly different langauge is a refreshing change and makes you think about programming in a different way. But that's something to discuss another day, I said I wasn't going to decent into a feature list and I wont.
Tuesday, August 28, 2007
Change the name
I really wanted to have something more generic to cover both programming and writing Fiction but nothing came to mind so I settled for Lisp, the AI language, the cool language. It is really more my language of choice even if I use Python for practical reasons.
Still newLisp shows some promise in being a practical lisp despite its warts and if I'm motivated enough Warts can be removed and replaced with something better.
Wednesday, August 22, 2007
New Lisp warts
- No tail call optimization (and nver will be or so the creator has said) seems a little antagonistic to functional programming. And pass by value is not your friend here.
- Contexts are inadequate for any of the jobs they are supposed to do, and they have been overloaded with too many jobs.
- Macros facilites are inadaquate, as there are no gensyms and there is no macroexpand function.
- Memory management seems to be a dogma. The only problem I have with pass by value is that it seems to go against the grain of functional programming. where you pass in functions expecting them to not modify their arguments, so why copy them? I think copy on write would be a better strategy. to adopt, perhaps a little more complex but favarable to functional programming.
- No Type system. THere simply is no facility for user defined types. and hence no way to do anything interesting like generic functions
Unrelated to this entry: records of crystals >
+++
(1)
Diffraction record for UCr2Si2. The PXRD pattern is calculated, not measured: it uses DFT lattice parameters and positions (GGA-PBE) and a wavelength of 1.5418 Å.

Structural model:
Lattice parameters (Å, degrees): 5.8036 5.8036 5.8036 140.47 140.47 57.15
Element x y z (fractional)
U: 0.0000 0.0000 0.0000
Cr: 0.2500 0.7500 0.5000
Cr: 0.7500 0.2500 0.5000
Si: 0.3838 0.3838 0.0000
Si: 0.6162 0.6162 0.0000

Most intense lines, 10 to 80 degrees two-theta, low angle first:
- 24.30 deg, I = 81
- 34.92 deg, I = 68
- 35.22 deg, I = 19
- 36.87 deg, I = 100
- 46.26 deg, I = 34
- 50.44 deg, I = 27
- 52.92 deg, I = 22
- 59.25 deg, I = 30
- 70.83 deg, I = 21
- 79.46 deg, I = 21

=====

(2)
Diffraction record for VCr2Si6. The PXRD pattern is calculated, not measured: it uses DFT lattice parameters and positions (GGA-PBE) and a wavelength of 1.5418 Å.

Structural model:
Lattice parameters (Å, degrees): 4.4683 4.4683 6.3443 90.00 90.00 119.78
Element x y z (fractional)
V: 0.0000 0.0000 0.0000
Cr: 0.0000 0.5000 0.6644
Cr: 0.5000 0.0000 0.3356
Si: 0.1708 0.3364 0.3341
Si: 0.3352 0.6648 0.0000
Si: 0.3364 0.1708 0.6659
Si: 0.6636 0.8292 0.6659
Si: 0.6648 0.3352 0.0000
Si: 0.8292 0.6636 0.3341

Most intense lines, 10 to 80 degrees two-theta, low angle first:
- 26.97 deg, I = 25
- 36.61 deg, I = 11
- 40.37 deg, I = 13
- 42.77 deg, I = 100
- 42.92 deg, I = 93
- 49.81 deg, I = 28
- 49.93 deg, I = 59
- 73.15 deg, I = 26
- 74.98 deg, I = 16
- 75.25 deg, I = 8

=====

(3)
Diffraction record for VCrSi. The PXRD pattern is calculated, not measured: it uses DFT lattice parameters and positions (GGA-PBE) and a wavelength of 1.5418 Å.

Structural model:
Lattice parameters (Å, degrees): 7.5196 4.8568 4.8568 58.36 90.00 90.00
Element x y z (fractional)
V: 0.1853 0.0000 0.0000
V: 0.3117 0.6677 0.6677
V: 0.6883 0.6677 0.6677
V: 0.8147 0.0000 0.0000
Cr: 0.0000 0.5050 0.9973
Cr: 0.0000 0.9973 0.5050
Cr: 0.2496 0.3308 0.3308
Cr: 0.7504 0.3308 0.3308
Si: 0.0000 0.5084 0.5084
Si: 0.5000 0.1624 0.1624
Si: 0.5000 0.1617 0.6751
Si: 0.5000 0.6751 0.1617

Most intense lines, 10 to 80 degrees two-theta, low angle first:
- 37.04 deg, I = 43
- 41.87 deg, I = 32
- 42.16 deg, I = 42
- 44.42 deg, I = 100
- 45.26 deg, I = 46
- 45.50 deg, I = 49
- 48.42 deg, I = 16
- 73.13 deg, I = 15
- 78.67 deg, I = 19
- 78.87 deg, I = 17

=====

(4)
Diffraction record for VCrSi4. The PXRD pattern is calculated, not measured: it uses DFT lattice parameters and positions (GGA-PBE) and a wavelength of 1.5418 Å.

Structural model:
Lattice parameters (Å, degrees): 4.4893 12.6826 4.4988 90.00 119.82 90.00
Element x y z (fractional)
V: 0.0000 0.0000 0.0000
V: 0.0000 0.4995 0.0000
V: 0.5000 0.6663 0.0000
Cr: 0.0000 0.3323 0.5000
Cr: 0.0000 0.8326 0.5000
Cr: 0.5000 0.1676 0.0000
Si: 0.1700 0.1668 0.3362
Si: 0.1740 0.6671 0.3382
Si: 0.3343 0.4988 0.6606
Si: 0.3347 0.8332 0.1724
Si: 0.3362 0.9998 0.6659
Si: 0.3376 0.3324 0.1701
Si: 0.6624 0.3324 0.8299
Si: 0.6638 0.9998 0.3341
Si: 0.6653 0.8332 0.8276
+++
The records of crystals stop here >
Why contexts are inadaquate
Context take the place of Module, hash tables, objects (closures really) and pass by reference mechanism.
They fail as a packaging system as they have a flat namespace so that all modules must be global. Every scripting language that I know of supports hiarchical modules simply because it works better and reduces the changes of two differnt packages defining the same module. Without hiarchical contexts developing an extensive standard library for newLisp is going to be impractical. Note that all of the successfull scripting languages have large standard libraries, it is just one of the signs that a language is a success.
As hashtables they sort of will do but are inadaquate simply because you must stick all your hashtables in MAIN, where they share a namespace with any loaded modules. So I can't have one without exposing it to the world and the chances of name collision have increased again. If I could create an anonymous context and bind it to a local variable that would be better.
As a method of passing by referance. Sorry but that is a plain ugly hack, which forces the proliferation og global objects. Again if this must be the only way to do it then anonymous context are what is needed.
As Objects. Well no what we have here are not objects but what every other Lisp would call a closure. Except that again while in all other Lisps closures are anonymous here they must be named, in the same namespace as Modules and Hash tables (boy its getting crowded in there). Yet again anonymous context seem to be what is missing.
Unfortunately neither Hiarchical Contexts or Anonymous contexts are likely to be added. Form what I have seen the Project maintainer has already expressed the opinion that he does not like the idea of hierarchical Contexts. Anonymous ones meanwhile would I suspect play havoc with the whole ORO memory management Idea. As once they existed people would use them (quite Heavily I imagine).
Tuesday, August 21, 2007
Back to Lisp
It's not a Common Lisp, but instead does its own thing in what appears to be a very light weight manner, which still feels like lisp. All the While focusing on practical things like providing Network (indlucing HTTP) database, Threading and even GUI API's out of the box. As well as what seems like near seamless integration with C librarys, though only time will tell on that one.
Some other features are a little unusual such as a return to older scoping rules. And a namespace implementation called contexts.
Some of the design decisions have been critisised hevily, but others areue along the lines of try it and see it actually works out without being insane. So I'll go down this route.
As a first remark it is a small distibution at 1.1MB of source Tarball and is very easy to compile out of the box. For me on two differnt machines (with different Distos) It just worked.
I have two projects in mind:
1) See how much of the stuff in 'On Lisp' I can get working in newLisp
2) write a Rouge like console game using libcaca
Tuesday, July 31, 2007
Back to Basics
I seem to be seing stories about how software is getting slowe all the time. Part of the reason is that we expect it to do a lot more stuff, but do we really needed. The most entertaining Benchmark was comparing an Apple plus I beliefve wit ha Duel core Athlon 64. The Apple seemed to complete most common tasks faster than the more modern computer.
The biggest difference was in terms of boot time. Recently I have been dissatisfied at how long my somewhat dated (Pentium III) laptop was taking to boot. My most common use case for the laptop is
- power up
- start a terminal
- Navigate to a file
- edit the file with VIM
- save & shut down
with that use case, why am i waiting so long for the thing to boot. Granted I didn't time it but it was definetly longer than I needed to do what I wanted to do. So I decided to try something
I made some space and installed a minimal Debian, added the programs I really use (but no X11)
and away I went. After a little bit of tweeking (and some helP) I got a framebuffered console and a nice large font (which still gives me just over 80 characters accross.
end result is that I now have a 25 second wait from pressing the power button to login prompt, and a system which does exactly what I need, and nothing I don't.
and on those rare occasions when I would like to do something more I still have Ubuntu installed in a separate partition and can ask grub to boot into it for me. All it all it was a reasonably simple process, and it just goes to show that the console should not be discounted.
In many instances it is stil the tight interface for the job and it is a pity that things like getting autoconfguring the framebuffer and getting a good font selected are not automateded in any way.
Thursday, June 21, 2007
Python 3000
Is this the cost of using Unicode encodings, and if so is it worth it. Granted I do all my writing and coding in english so I won't really gain anything from being able to use Unicode Identifiers. But all in all it seems clunky.
Dropping the reduce function entierly also seems a little extreme, like many people have already said, just move it to join all the other functional programming functions.
On the other hand Generic Functions, which are a great paradime (and would make my multiple dispatch post oboslete, stand a danger of being droped due to lack of activity. PEP 3124, which describes generic functions actually covers almost the entire CLOS (Common Lisp Object System) specification.
On balance I have a feeling that Python 3000 is just not going to be the same language, the number of differences seems so significant that best practices and general approaches will have to change. Porting to Pythong 3000 looks like it will not be a trivial task. All In all it will be interesting to see what hte adoption rate will be. A lot of the new features will also be available in Python 2.6, It may end up that everyone moves to python 2.6 and stops there preferring to keep the old style ways of doing things, such as havig a single unifed string/ binary type, and does not go any further.